In the early days of search marketing, PPC and SEO were handled by a single professional or the same agency for most businesses. As they got more complex and became mainstream, as PPC no longer remained limited to certain type of ads (like text), controlled by one search engine, or even limited to search (social media PPC is huge now), companies started hiring independent teams for these channels.

Regardless of how differently your paid and organic search campaigns are set up, you will gain from collaboration in the SEO and PPC disciplines – sharing of specific data, insights, methods, and approaches will contribute to your overall marketing strategy.

By working in partnership, your teams can manage and optimise digital campaigns more effectively while saving time, effort and budget. In this article, we examine how PPC impacts SEO and how it makes SEO tactics even sharper.

The Need for SEO

SEO is critical to your digital – and overall – marketing strategy since it involves numerous benefits:

  • Increases the exposure of your website to a wider audience
  • Gets you targeted organic traffic
  • Improves the possibility of converting site visitors into paying customers
  • Boosts your brand credibility

SEO is now a fundamental method of digitally marketing your business and brand, helping you reach the right customer base and sell to them.

The Need for PPC

PPC offers multiple approaches and options for your business to increase sales quickly. You see an ROI – whatever it is – from Day 1 of your campaign.

Google is undoubtedly the new yellow pages. The first thing anyone looking for any product or service does is whip up Google. And paid search advertisements simply take up the whole first screen on mobile or desktop devices – before any of the organic searches are close to appearing. Take a look for yourself:

Another advantage is you can choose the exact messaging and URL, with a tailored landing page, to be displayed in PPC ads. Google Ads further has elements that entice people to click, which can be personalised to make your ad appealing to a range of searchers. Finally, PPC offers precise targeting according to the demographics of the audience.

Ads can be targeted by keywords, day of the week, location, device, and other factors. You can have a fresh PPC campaign set up, running within hours, with leads or sales coming in by Day 1.

SEO Lessons You Can Learn from PPC

A lot of time, effort and money is required to rank higher through SEO. It’s just not as obvious as PPC, because you don’t directly pay for every click or impression. You pay indirectly by producing fresh content, maintaining your website, branding your products and services, and creating interest in your brands.

The difference lies in measurement. How do you know for sure how much clicks you’ll get through your SEO campaign? How many leads? How much ROI? What will be your cost per acquisition?

For new websites, the promise of profiting from all the organic qualified traffic can be hard to digest. Indeed, it can seem like stepping into a casino. However, when you’re running PPC campaigns, you build existing benchmarks for metrics such as click-through rate (CTR), cost per click (CPC), conversion rate and cost per lead (CPL).

-- begin --
Computed, not measured: an optimized crystal structure of SmDy2Ga at the PBE-GGA level of DFT.

Properties
Fermi-level density of states	4.52	states/eV/cell
formation energy from the elements	-0.193	eV per atom
calculated total energy	-17.7	eV/cell

a b c (Å): 10.4649 10.4649 10.4649
angles (deg): 19.91 19.91 19.91
Fractional coordinates of all 4 atoms:
Sm 0.0000 0.0000 0.0000
Dy 0.2372 0.2372 0.2372
Dy 0.4300 0.4300 0.4300
Ga 0.8340 0.8340 0.8340

----------

Material: KTlICl
Method: DFT, GGA-PBE
State: optimized geometry

Calculated values
final energy = -2.9705 eV/atom
distance to the lowest polymorph of the same formula = 0.00 kcal/mol of atoms
ΔE_f (raw) = -5.0 eV per formula unit
space-group type = R3m (160)

Cell: 8.652 8.652 8.652 Å, 31.46 31.46 31.46°
Positions (direct):
K 0.000 0.000 0.000
Tl 0.815 0.815 0.815
I 0.571 0.571 0.571
Cl 0.399 0.399 0.399
-- stop --

Even without running any campaigns, you have PPC benchmarks for most industries:


Here are some more ways in which PPC campaigns impact SEO…

Keyword testing: You can test your core set of keywords through Google Ads before choosing them for SEO campaigns. Since you need a ton of efforts to rank on page 1, it’s better to know for sure if these keywords will generate leads or not before going all out on them.

Location testing: Test various cities and regions where you can sell your products and services through PPC to see which ones are the most profitable and where you get the highest paying or most loyal customers. By doing this, you avoid wasting time and money positioning for a region where the market size doesn’t net you a good ROI.

Landing page testing: Don’t just simply go ahead and develop landing pages that are keyword-rich and full of text content. First, A/B test them with Google ads to see how people react to the various elements on it, how closely it matches the message that you are giving potential customers, and how well it converts them.

Meta information: You can use the ad headlines and ad copy from your high-performing Google Ads campaigns as your page title and meta description in SEO. They are proven to be relevant to the page content as well as convert visitors better.

Branding: Searchers who’ve already come across your brand and messaging have a higher chance of clicking through your organic results and purchasing from your site. PPC builds that critical brand awareness and recall that later translates into SEO success.

How SEO and PPC Impact Each Other

PPC has no direct impact on SEO, despite the rumors (that refuse to be subdued) that Google rewards sites that run ad campaigns with better organic visibility. However, PPC does have an indirect impact on SEO – depending on what lessons you learn and the strategies you implement.

Many digital marketing outcomes can be a result of combining PPC and SEO operations. It is ideal to employ both SEO and PPC in tandem if you want to enhance the effectiveness of your marketing strategy – the sum is certainly greater than the parts.

In many businesses, including agencies, the SEO and PPC teams are two entirely different departments. They work mostly in silos and occasionally even compete with one another. However, conventional wisdom as well as empirical evidence suggests that the more successful your campaigns are in one area, the better results you see in the other one too.

The biggest outcome of synchronized SEO and PPC campaigns is that you absolutely dominate the SERPs if you do well in both. Shopping and text ads at the top of the SERPs are the norm today for almost all queries. At the same time, organic results are accentuated by various SERP features such as featured snippets, People Also Ask and answer boxes.

When you get your ads, your blog articles, your videos (on-site or YouTube) as well as your social media profiles to show up in the SERPs, there is no escaping your brand for the searcher. Whether they skip over the ads, or don’t scroll down as far as the organic results, they run into your listings. The brand authority and trust that comes with it is unassailable.

How Can SEO and PPC Work Together?

In order to really dominate the Google SERPs for keywords of your choice, you need to run integrated PPC and SEO campaigns that are finely tuned to your short-term and long-term marketing and sales objectives.

PPC can help you change the messaging of your ads quickly to focus on a specific audience segment, promote a particular product, or target a certain region. Further, it can take users directly to the product page you want them to.

On the other hand, SEO can help you enhance the user experience by taking them through a content-driven purchase journey step-by-step.

Matching your customers’ intent with adequate keyword research is a process that lies at the amazing intersection of SEO and PPC. You can use PPC to quickly test which keywords appeal to searchers’ purchase intent and which don’t. You can then use these keywords in different forms of content and try to rank them via SEO.

Similarly, you can dig into SEO data to find the top pages of your site that are driving the most traffic. If the search terms they use to land there are commercially viable, why not create targeted ads for them and take conversions to the next level?

Further, you can retarget those customers who visited your site via organic search and bring them back for more content that guides them through your sales funnel. Compared to standard shopping and text ads, retargeting has a substantially higher CTR because the customer has already had a previous interaction with your brand.

While there are endless possibilities to run symbiotic SEO and PPC campaigns, the only way to guarantee success is to keep testing different initiatives, one at a time.

The Takeaway

It is never SEO vs. PPC as many blogs out there make it out to be. Each discipline has its own set of merits and drawbacks. While SEO still drives the most traffic to pretty much any given site on the internet, PPC is able to provide effective outcomes fast.

Always go for a comprehensive and integrative marketing approach – regardless of the channel you opt for, don’t ignore video, visuals and optimized copy. Find the right platform that allows you to interact with your target audience and go all out to woo them there. Leads and sales will be sure to follow!

  • Hemang Rami

    Founder and CEO of a performance marketing company HND Solutions that works with startups and well-established technology companies. He is a Performance Marketing enthusiast & nothing motivates him more than empowering startups, businesses & enterprises.